Pets on vegan diets: foxy or not?

What comes next are crystal structures, not part of the entry
____________
Record 1
# TiP3O
Simulated powder diffraction line list, Cu Kα. Input: a structure optimized by DFT (GGA-PBE).

Principal peaks in the range 10 to 90 degrees two-theta, sorted by position:
2θ/deg	I/Imax
30.86	21
38.03	100
44.20	75
54.88	6
64.29	44
73.01	2
77.21	36
81.33	15
89.48	2

Structure:
abc: 4.098 4.098 4.098
angles: 90.00 90.00 90.00
Element x y z (fractional)
Ti 0.000 0.000 0.000
P 0.000 0.500 0.500
P 0.500 0.000 0.500
P 0.500 0.500 0.000
O 0.500 0.500 0.500

Record 2
# Np3Si4Ru7
Simulated powder diffraction line list, Cu Kα. Input: a structure optimized by DFT (GGA-PBE).

Principal peaks in the range 10 to 90 degrees two-theta, sorted by position:
2θ/deg	I/Imax
23.82	19
24.16	27
31.24	25
36.61	19
36.93	100
37.13	79
39.33	18
44.47	24
45.07	33
65.17	15

Structure:
abc: 7.869 7.869 9.165
angles: 125.14 125.14 29.62
Element x y z (fractional)
Np 0.000 0.000 0.000
Np 0.324 0.324 0.323
Np 0.676 0.676 0.677
Si 0.114 0.114 0.384
Si 0.340 0.340 0.958
Si 0.660 0.660 0.042
Si 0.886 0.886 0.616
Ru 0.000 0.000 0.500
Ru 0.160 0.160 0.891
Ru 0.302 0.302 0.658
Ru 0.495 0.495 0.279
Ru 0.505 0.505 0.721
Ru 0.698 0.698 0.342
Ru 0.840 0.840 0.109

Record 3
# CuAg5O3
Simulated powder diffraction line list, Cu Kα. Input: a structure optimized by DFT (GGA-PBE).

Principal peaks in the range 10 to 90 degrees two-theta, sorted by position:
2θ/deg	I/Imax
32.16	9
34.74	100
35.08	69
37.63	11
38.22	20
40.32	13
44.42	13
47.69	16
62.06	10
62.71	12

Structure:
abc: 6.419 6.419 7.564
angles: 106.72 106.72 72.89
Element x y z (fractional)
Cu 0.034 0.034 0.266
Cu 0.966 0.966 0.734
Ag 0.074 0.610 0.365
Ag 0.270 0.270 0.067
Ag 0.301 0.699 0.000
Ag 0.390 0.926 0.635
Ag 0.448 0.448 0.646
Ag 0.552 0.552 0.354
Ag 0.610 0.074 0.365
Ag 0.699 0.301 0.000
Ag 0.730 0.730 0.933
Ag 0.926 0.390 0.635
O 0.000 0.000 0.000
O 0.000 0.000 0.500
O 0.237 0.237 0.336
O 0.301 0.301 0.805
O 0.699 0.699 0.195
O 0.763 0.763 0.664

Record 4
# La2PrAgOs
Simulated powder diffraction line list, Cu Kα. Input: a structure optimized by DFT (GGA-PBE).

Principal peaks in the range 10 to 90 degrees two-theta, sorted by position:
2θ/deg	I/Imax
15.43	34
16.09	49
22.37	25
27.67	60
31.16	42
32.51	100
35.26	28
45.65	58
46.63	36
57.15	30

Structure:
abc: 5.509 5.509 5.741
angles: 90.00 90.00 90.00
Element x y z (fractional)
La 0.000 0.500 0.000
La 0.500 0.000 0.000
Pr 0.000 0.000 0.530
Ag 0.500 0.500 0.629
Os 0.000 0.000 0.045

Record 5
# Ni4Sn3Ge
Simulated powder diffraction line list, Cu Kα. Input: a structure optimized by DFT (GGA-PBE).

Principal peaks in the range 10 to 90 degrees two-theta, sorted by position:
2θ/deg	I/Imax
30.65	21
34.14	18
36.22	100
43.02	84
50.62	23
52.17	36
69.85	38
76.90	13
77.63	17
88.08	15

Structure:
abc: 9.919 5.253 4.960
angles: 90.00 90.00 90.00
Element x y z (fractional)
Ni 0.000 0.134 0.000
Ni 0.000 0.827 0.499
Ni 0.234 0.837 0.001
Ni 0.266 0.163 0.501
Ni 0.500 0.173 0.999
Ni 0.500 0.866 0.500
Ni 0.734 0.163 0.501
Ni 0.766 0.837 0.001
Sn 0.000 0.315 0.500
Sn 0.245 0.323 0.001
____________
The entry goes on

Vegan activist and Youtuber, Sonia Sae, has recently caught the attention of the media due to her severely underweight fennec fox pet, Jumanji. Sae adopted, or as she claims, rescued, the fox from a breeder in 2014. The Youtuber makes educational videos about veganism including exposes of the pet food and honey industries.

Sae has posted numerous videos and photographs of her exotic pet on Instagram and has been receiving backlash for many years regarding the standard of health of the animal. What has attracted the most attention, however, is the fact that Sae has brought the animal up on a vegan diet. Domesticated animals should have diets that reflect their natural, wild diet. Fennec foxes, according to the National Geographic, are omnivorous opportunistic eaters, meaning that they eat whatever they can find in their natural habitat, including plants, small rodents, eggs, reptiles and insects. It can be difficult to replicate an animal’s wild diet, particularly if they are naturally ‘opportunistic’, but it is unquestionable that the diet should, at the very least, contain the requirements for the animal to meet its basic dietary needs.

On her Instagram and Facebook pages, Sae has posted about the fox’s worrying health ailments including hair-loss, partial blindness, spontaneous convulsions, skin conditions and severe weight-loss. Despite Sae attributing the hair-loss to ‘seasonal shedding’, albeit fennec foxes do not shed seasonally in the wild, critics and animal activists have put the animal’s health issues down to the vegan diet that it is currently on. Facebook user Alice Natanya Moore has posted an expose on Facebook, to show the condition Jumanji is currently in, alongside healthy fennec foxes in the wild for comparison. Moore’s post, which has been shared over 28,000 times, states that Sae refuses to listen to experts who condemn her treatment of the fox and has called for the removal of Jumanji from Sonia’s care, stating that she “simply want[s] to see Jumanji in better health and being fed a species appropriate diet”.

Sonia responded to critics on her Facebook page, stating that “they use the word abuse to describe the act of feeding him food that no animal had to die for. Despite the obvious oxymoron, any other non-vegan alternative DOES involve abuse by default”. Although it has been proven that some naturally omnivorous animals can thrive on a wholly vegan diet, the fact that her pet is severely malnourished and clearly unwell suggests that Sonia has no option but to adhere to her pet’s natural dietary needs for the sake of its survival.

Ultimately, if you unable to support the natural diet of an animal, then do not adopt the pet. It is arguably animal cruelty to force this particular pet to remain on an unsustainable and damaging diet when taking its innumerable illnesses into consideration. Additionally, it is morally wrong for someone with a reasonably large online social media following to publicly not respect an animal’s required dietary needs at the expense of its health and survival.

Charlotte Loughlin

## Between two parts of the text: materials data
<<<
Record 1
Structure and computed XRD peak list of LuAu (a DFT-relaxed cell (PBE, the Materials Project); CuKα).

Atomic structure:
Cell lengths 3.534, 3.534, 3.534 Å; angles 90.00, 90.00, 90.00 degrees
Positions (direct):
Lu 0.000 0.000 0.000
Au 0.500 0.500 0.500

Principal peaks in the range 2θ = 10–80°, in order of falling intensity:
2θ/deg	Rel. int.
35.94	100
64.60	37
51.74	18
76.20	12
25.20	1



Record 2
Structure and computed XRD peak list of U2PN2 (a DFT-relaxed cell (PBE, the Materials Project); CuKα).

Atomic structure:
Cell lengths 3.797, 3.797, 6.538 Å; angles 90.00, 90.00, 120.00 degrees
Positions (direct):
U 0.333 0.667 0.219
U 0.667 0.333 0.781
P 0.000 0.000 0.500
N 0.333 0.667 0.871
N 0.667 0.333 0.129

Principal peaks in the range 2θ = 10–80°, in order of falling intensity:
2θ/deg	Rel. int.
30.43	100
38.84	27
47.91	26
27.28	23
56.00	23
50.22	23



Record 3
Structure and computed XRD peak list of Nd2CuRu (a DFT-relaxed cell (PBE, the Materials Project); CuKα).

Atomic structure:
Cell lengths 5.019, 5.019, 5.019 Å; angles 60.00, 60.00, 60.00 degrees
Positions (direct):
Nd 0.250 0.250 0.250
Nd 0.750 0.750 0.750
Cu 0.000 0.000 0.000
Ru 0.500 0.500 0.500

Principal peaks in the range 2θ = 10–80°, in order of falling intensity:
2θ/deg	Rel. int.
35.78	100
64.29	35
51.50	17
75.82	11
25.09	8
58.12	3



Record 4
Structure and computed XRD peak list of Hf9Re4B (a DFT-relaxed cell (PBE, the Materials Project); CuKα).

Atomic structure:
Cell lengths 8.443, 8.443, 8.578 Å; angles 90.00, 90.00, 120.00 degrees
Positions (direct):
Hf 0.080 0.540 0.250
Hf 0.201 0.402 0.554
Hf 0.201 0.402 0.946
Hf 0.201 0.799 0.554
Hf 0.201 0.799 0.946
Hf 0.402 0.201 0.054
Hf 0.402 0.201 0.446
Hf 0.460 0.540 0.250
Hf 0.460 0.920 0.250
Hf 0.540 0.080 0.750
Hf 0.540 0.460 0.750
Hf 0.598 0.799 0.554
Hf 0.598 0.799 0.946
Hf 0.799 0.201 0.054
Hf 0.799 0.201 0.446
Hf 0.799 0.598 0.054
Hf 0.799 0.598 0.446
Hf 0.920 0.460 0.750
Re 0.000 0.000 0.000
Re 0.000 0.000 0.500
Re 0.110 0.221 0.250
Re 0.110 0.890 0.250
Re 0.221 0.110 0.750
Re 0.779 0.890 0.250
Re 0.890 0.110 0.750
Re 0.890 0.779 0.750
B 0.333 0.667 0.750
B 0.667 0.333 0.250

Principal peaks in the range 2θ = 10–80°, in order of falling intensity:
2θ/deg	Rel. int.
38.76	100
38.39	72
40.03	41
66.67	30
33.66	30
64.39	28
>>>

Photo credit: Pixabay